-- Job --
Could you set down the part of the lines underneath that starts with the line with "-1.2335 1.6234" and stops after the one with "-0.700"?

-- Excerpt --
~~~
This record from the Open Molecules 2025 dataset describes a structure of composition C4H10NOS. The level of theory is ωB97M-V/def2-TZVPD.

Summary:
largest force on an atom = 5.81 eV Å⁻¹
E_tot = -18672.553 eV
Kohn-Sham gap = 8.648 eV
charge = +1
energy above the lowest of the compared OMol25 structures with the same formula, charge and spin = 4.5527 eV

Geometry as XYZ:
```
17
Properties=species:S:1:pos:R:3:forces:R:3:mulliken_charge:R:1
H -2.5901 0.3054 1.7633 1.4 0.4 -0.9 0.254
H -1.2335 1.6234 -1.3849 0.5 4.4 -2.0 0.323
N -0.5736 -0.5285 0.7847 0.1 -0.2 0.5 -0.079
C -0.2106 0.5362 -0.0981 3.9 0.1 -2.5 -0.209
H -1.6185 -2.3899 0.7403 -0.4 0.3 -1.1 0.307
S 1.6194 -0.6778 -1.0642 -2.4 1.1 1.3 -0.076
H -2.3852 -0.8856 -0.3084 0.2 -0.9 -0.2 0.238
H 0.2929 -1.1311 1.0638 -1.8 1.5 -0.4 0.426
H 3.8464 -0.2225 -1.0132 -0.8 1.1 1.1 0.314
C -1.7924 -1.3382 0.4799 0.2 -0.3 1.8 -0.372
C 3.0042 0.3140 -0.4448 0.2 -0.7 -2.8 -0.772
H 2.8292 1.2984 -0.8886 0.6 0.0 0.3 0.282
H 3.1337 0.3187 0.6027 0.2 -0.1 1.0 0.304
C -1.7909 -0.4581 1.6755 -0.6 -0.4 1.6 -0.296
O -1.1897 0.8437 -0.9555 -0.3 -5.0 2.9 -0.433
H -1.5535 -0.7659 2.7048 -0.1 -0.6 -0.7 0.272
H 0.4656 1.3356 0.2982 -1.1 -0.7 0.0 0.518
```
Forces are in eV/Å.

=====

This record from the Open Molecules 2025 dataset describes a structure of composition C17H27N6O2Rh. The level of theory is ωB97M-V/def2-TZVPD.

Summary:
largest force on an atom = 0.40 eV Å⁻¹
E_tot = -34097.269 eV
Kohn-Sham gap = 7.395 eV
charge = +2
energy above the lowest of the compared OMol25 structures with the same formula, charge and spin = 0.5952 eV

Geometry as XYZ:
```
53
Properties=species:S:1:pos:R:3:forces:R:3:mulliken_charge:R:1
O 1.1359 2.3595 -0.3774 0.2 0.1 -0.3 -0.728
N 1.5638 -0.4482 -0.6550 0.1 0.0 0.1 -0.103
H 2.4549 -1.4005 2.0122 0.0 0.0 0.0 0.304
H 2.9686 4.4140 -0.5885 0.0 0.0 0.0 0.320
C 0.1565 -2.5124 -3.8611 0.0 0.0 0.0 -0.633
C -0.9940 0.7328 -2.2317 0.1 -0.2 0.1 -1.060
N 0.1146 1.1628 1.6922 0.0 0.2 0.2 -0.219
H -1.6893 -1.4487 -0.6456 -0.1 -0.2 -0.2 0.183
H 3.5803 4.4737 -2.2654 0.0 0.0 0.0 0.274
Rh -0.3697 -0.3351 0.4685 -0.1 0.0 0.0 0.205
H -0.3869 -1.8374 2.5915 0.0 0.0 0.0 0.168
H 0.0800 -0.4507 -4.4503 0.0 0.0 0.0 0.502
O 2.9542 2.6398 -1.6851 0.0 0.0 -0.1 -0.473
H 0.1380 1.9740 1.0658 0.0 -0.1 0.1 0.357
H 0.6385 -0.0552 4.0785 0.0 0.0 0.0 0.351
N 2.3209 0.5949 -1.2268 0.0 0.0 0.0 -0.379
C 2.0613 1.9288 -1.0374 -0.1 0.0 0.1 0.737
C -4.0076 -0.2087 2.6029 -0.1 0.0 0.0 -0.953
H 2.3759 0.0835 4.0107 0.0 0.0 0.0 0.407
H -2.1890 -1.3109 3.2281 0.0 0.0 0.0 0.433
H 1.2556 -1.0464 -1.4213 0.1 0.0 0.0 0.291
N -2.1285 -0.2395 1.3750 -0.2 -0.1 0.2 0.476
H 1.8220 4.3735 -1.9562 0.0 0.0 0.0 0.303
C 2.8103 4.0832 -1.6112 0.0 0.0 0.0 -0.700
H 1.7816 -2.2009 3.4211 0.0 0.0 0.0 0.437
C -1.0533 -1.7012 -1.5140 0.1 0.0 0.1 0.152
C -0.1212 -3.4497 -2.8715 0.0 -0.1 0.0 -0.645
C -0.7314 -3.0456 -1.6951 0.0 0.0 -0.1 -0.800
C -2.6506 1.0147 -0.5284 0.0 0.1 0.0 -0.282
N 0.3696 -1.7074 1.9248 0.1 -0.2 -0.2 -0.274
H 0.4697 -2.6200 1.4821 0.0 0.0 0.0 0.301
H -4.6955 -0.4143 3.4058 0.0 0.0 0.0 0.466
H -0.9990 -3.7755 -0.9417 0.0 0.0 0.0 0.567
H 2.2032 1.0781 1.6874 0.0 0.0 0.0 0.161
C -4.2475 0.5636 1.4679 0.0 0.0 0.1 -0.819
H -1.7356 1.1721 -2.9023 -0.1 -0.1 0.0 0.637
H -0.0621 1.2853 -2.3653 -0.1 0.0 -0.1 0.084
C -0.7545 -0.7445 -2.4970 -0.1 0.0 -0.3 1.163
H -5.1610 1.0724 1.2063 0.0 0.0 0.0 0.515
H 3.1149 0.3349 -1.7927 0.0 0.0 0.0 0.285
C 1.4013 1.1108 2.4260 -0.1 0.0 0.0 -0.482
C -2.7014 -0.6822 2.5154 0.1 0.0 -0.1 -0.366
H 2.2026 -1.0032 -0.0882 -0.1 0.0 0.0 0.368
H 0.6189 -2.8299 -4.7862 0.0 0.0 0.0 0.440
C -3.0702 0.5440 0.7249 0.0 0.0 0.0 -0.009
C -0.1537 -1.1707 -3.6750 0.0 0.1 0.1 -0.712
H -3.3338 1.4669 -1.2420 0.0 0.0 0.0 0.520
C 1.4904 -0.0589 3.3901 0.0 0.0 0.0 -0.755
H -0.6595 1.2654 2.3487 0.0 0.0 0.0 0.475
H 1.4975 2.0547 2.9655 0.0 0.0 0.0 0.434
C 1.6053 -1.4039 2.6984 0.0 0.0 0.0 -0.585
H 0.1163 -4.4928 -3.0289 0.0 0.0 0.0 0.451
N -1.4072 0.8111 -0.8484 0.1 0.4 0.1 0.211
```
~~~

-- Response --
H -1.2335 1.6234 -1.3849 0.5 4.4 -2.0 0.323
N -0.5736 -0.5285 0.7847 0.1 -0.2 0.5 -0.079
C -0.2106 0.5362 -0.0981 3.9 0.1 -2.5 -0.209
H -1.6185 -2.3899 0.7403 -0.4 0.3 -1.1 0.307
S 1.6194 -0.6778 -1.0642 -2.4 1.1 1.3 -0.076
H -2.3852 -0.8856 -0.3084 0.2 -0.9 -0.2 0.238
H 0.2929 -1.1311 1.0638 -1.8 1.5 -0.4 0.426
H 3.8464 -0.2225 -1.0132 -0.8 1.1 1.1 0.314
C -1.7924 -1.3382 0.4799 0.2 -0.3 1.8 -0.372
C 3.0042 0.3140 -0.4448 0.2 -0.7 -2.8 -0.772
H 2.8292 1.2984 -0.8886 0.6 0.0 0.3 0.282
H 3.1337 0.3187 0.6027 0.2 -0.1 1.0 0.304
C -1.7909 -0.4581 1.6755 -0.6 -0.4 1.6 -0.296
O -1.1897 0.8437 -0.9555 -0.3 -5.0 2.9 -0.433
H -1.5535 -0.7659 2.7048 -0.1 -0.6 -0.7 0.272
H 0.4656 1.3356 0.2982 -1.1 -0.7 0.0 0.518
```
Forces are in eV/Å.

=====

This record from the Open Molecules 2025 dataset describes a structure of composition C17H27N6O2Rh. The level of theory is ωB97M-V/def2-TZVPD.

Summary:
largest force on an atom = 0.40 eV Å⁻¹
E_tot = -34097.269 eV
Kohn-Sham gap = 7.395 eV
charge = +2
energy above the lowest of the compared OMol25 structures with the same formula, charge and spin = 0.5952 eV

Geometry as XYZ:
```
53
Properties=species:S:1:pos:R:3:forces:R:3:mulliken_charge:R:1
O 1.1359 2.3595 -0.3774 0.2 0.1 -0.3 -0.728
N 1.5638 -0.4482 -0.6550 0.1 0.0 0.1 -0.103
H 2.4549 -1.4005 2.0122 0.0 0.0 0.0 0.304
H 2.9686 4.4140 -0.5885 0.0 0.0 0.0 0.320
C 0.1565 -2.5124 -3.8611 0.0 0.0 0.0 -0.633
C -0.9940 0.7328 -2.2317 0.1 -0.2 0.1 -1.060
N 0.1146 1.1628 1.6922 0.0 0.2 0.2 -0.219
H -1.6893 -1.4487 -0.6456 -0.1 -0.2 -0.2 0.183
H 3.5803 4.4737 -2.2654 0.0 0.0 0.0 0.274
Rh -0.3697 -0.3351 0.4685 -0.1 0.0 0.0 0.205
H -0.3869 -1.8374 2.5915 0.0 0.0 0.0 0.168
H 0.0800 -0.4507 -4.4503 0.0 0.0 0.0 0.502
O 2.9542 2.6398 -1.6851 0.0 0.0 -0.1 -0.473
H 0.1380 1.9740 1.0658 0.0 -0.1 0.1 0.357
H 0.6385 -0.0552 4.0785 0.0 0.0 0.0 0.351
N 2.3209 0.5949 -1.2268 0.0 0.0 0.0 -0.379
C 2.0613 1.9288 -1.0374 -0.1 0.0 0.1 0.737
C -4.0076 -0.2087 2.6029 -0.1 0.0 0.0 -0.953
H 2.3759 0.0835 4.0107 0.0 0.0 0.0 0.407
H -2.1890 -1.3109 3.2281 0.0 0.0 0.0 0.433
H 1.2556 -1.0464 -1.4213 0.1 0.0 0.0 0.291
N -2.1285 -0.2395 1.3750 -0.2 -0.1 0.2 0.476
H 1.8220 4.3735 -1.9562 0.0 0.0 0.0 0.303
C 2.8103 4.0832 -1.6112 0.0 0.0 0.0 -0.700